Nurturing the New Mind: The Disruptive Nature of Ethics

Unrelated to this text: quantum chemistry results >
-- begin --
This record from the Open Molecules 2025 dataset describes 3 unconnected molecules or ions with the total composition C2H8O2 at a distorted geometry. The level of theory is the ωB97M-V functional and the def2-TZVPD basis.

XYZ file:
```
12
Properties=species:S:1:pos:R:3:forces:R:3
O 1.322 -2.053 -1.116 0.1 -0.2 -0.1
H 1.314 -2.950 -1.464 0.1 0.1 0.0
H 0.621 -2.065 -0.424 0.0 0.0 0.0
H 2.630 3.944 -2.017 0.0 0.0 0.0
C -0.780 -0.453 0.632 0.3 -1.5 0.3
O -0.636 -1.746 0.623 -0.3 -0.1 0.1
C -1.754 0.199 1.407 -0.4 -0.6 -0.1
H -0.962 -0.089 -0.424 0.3 0.7 0.1
H 0.210 -0.011 0.978 -0.2 0.7 -0.4
H -1.862 1.267 1.424 0.0 0.3 0.1
H -2.437 -0.478 1.929 0.0 0.5 0.2
H 2.334 4.436 -1.549 0.0 0.0 0.0
```
Positions in Å, forces in eV/Å.

F_max	1.58	eV Å⁻¹
energy relative to the best compared isomer or geometry (same formula, charge and spin)	113.0	kcal per mole

This record from the Open Molecules 2025 dataset describes C2H8O2P2S in the gas phase at a distorted geometry. The level of theory is the ωB97M-V functional and the def2-TZVPD basis.

XYZ file:
```
15
Properties=species:S:1:pos:R:3:forces:R:3
C 0.725 0.328 2.265 1.7 0.1 -1.4
C 1.261 0.379 0.775 -4.2 1.3 -1.1
O -1.290 -0.461 0.416 0.1 0.5 0.1
O 0.398 -1.770 -0.710 1.1 -1.0 -0.5
P -2.025 -0.322 -2.652 -1.6 -0.8 1.1
P -0.445 0.907 -1.986 0.7 1.0 0.9
S -0.029 -0.472 -0.299 -0.5 1.4 1.1
H -0.356 0.233 2.450 0.5 0.0 -0.7
H 1.257 -0.579 2.564 -0.3 0.4 1.2
H 1.079 1.286 2.677 0.1 -0.8 0.5
H 2.089 -0.201 0.482 1.5 -0.3 0.3
H 1.211 1.410 0.303 0.6 -1.1 0.8
H -2.858 0.186 -1.523 0.6 -0.6 -1.2
H -1.540 -1.437 -1.852 -0.6 0.3 -0.9
H 0.524 0.514 -2.910 0.4 -0.4 -0.1
```
Positions in Å, forces in eV/Å.

F_max	4.54	eV Å⁻¹
SMILES	CCS(=O)(=O)[PH]#[PH2]
energy relative to the best compared isomer or geometry (same formula, charge and spin)	44.4	kcal per mole

This record from the Open Molecules 2025 dataset describes 2 unconnected molecules or ions with the total composition C2H8O2P2S. The level of theory is the ωB97M-V functional and the def2-TZVPD basis.

XYZ file:
```
15
Properties=species:S:1:pos:R:3:forces:R:3
C -3.133 -0.597 -0.626 -0.1 -0.3 -0.2
C -2.669 0.357 0.152 0.2 0.3 0.3
O 1.309 -2.400 -0.497 0.2 -0.9 -0.1
O 0.501 -0.756 1.255 0.7 0.2 -0.1
P 2.369 1.881 -0.291 -0.5 0.4 -0.5
P 3.043 -0.109 0.258 -0.1 -0.5 0.6
S 1.090 -0.986 -0.286 -0.5 0.6 0.3
H -4.068 -1.091 -0.425 -0.2 -0.1 0.1
H -2.597 -0.929 -1.500 0.1 0.0 -0.2
H -0.336 -1.215 1.386 -0.3 -0.1 -0.3
H -3.200 0.691 1.029 -0.1 0.0 0.1
H -1.732 0.854 -0.046 0.2 0.1 -0.1
H 3.667 2.370 -0.403 0.5 0.2 -0.1
H 2.255 2.321 1.026 -0.1 0.2 0.5
H 3.502 -0.391 -1.034 0.1 -0.1 -0.4
```
Positions in Å, forces in eV/Å.

F_max	0.97	eV Å⁻¹
SMILES	O=S(O)#[PH]P.C=C
energy relative to the best compared isomer or geometry (same formula, charge and spin)	48.0	kcal per mole
-- stop --

Everyone lies. Even so, it is the legitimate role of the New Mind to not simply detect lies, but moreover to dethrone those entities which pretend to the role of God. The Ethical Skeptic does not know what a god even is; nor does he possess all knowledge and wisdom. However, he can easily spot a monkey with a gas can. Even and especially if that gas can serves to intimidate via means of institution, socialized rationality or specious claims to science, evidence or truth.
Inside this awareness, several telltale character traits, life signatures, differentiate the poser elitist from someone who can be trusted. This is his threshing floor – upon which he exercises the disruptive nature of ethics.
monkey with a gas can

To a degree, ethical skepticism can be viewed as a method of exercising a New Mind. It involves a keen survey of the landscape of animal, primate and human behavior, along with an understanding of how these roles, tactics and strategies of both survival and inhabitance, have played into our success as a species. It also involves (as does true skepticism) a keen understanding of the pitfalls of each strategy and how such pitfalls might manifest in our lives inside the societies in which we dwell. Everything of merit possesses a relevant range of application, outside of the bounds of which, even the best strategy can devolve into a practice oriented towards power; producing deception and suffering. Remember, that to a sentient intelligence species, deception-based ignorance and suffering are the same thing – one is simply the expression of the other. Lacking of knowledge is not a sin. The withholding of knowledge and denial of the right to thrive is a sin. This is a key tenet of ethical skepticism. It is not so much bunk we are fighting, as bunk will eventually falsify itself in a free information environment, rather cultivated ignorance. The ethical skeptic gets this, the small mind, no matter how rational, does not.

The Knowledge of God and Not-God

Let’s take a step back and examine the myth outlaid in the Torah, a myth which has for right or wrong, ruled much of our foundational understanding of good and evil as a western superculture. A condensed version of manuscripts taken from an older Levantine religion (I suspect from which the Sumerian, Akkadian, Hittite lineage spawned) now included in what we call The Bible. In the renamed condensed later manuscript now called Genesis, we see in verses 3: 22 – 24 (NASB):

Then the LORD God said, “Behold, the man has become like one of Us, knowing good and evil; and now, he might stretch out his hand, and take also from the Tree of Life, and eat, and live forever”— therefore the LORD God sent him out from the garden of Eden, to cultivate the ground from which he was taken. So He drove the man out; and at the east of the garden of Eden He stationed the cherubim and the flaming sword which turned every direction to guard the way to the Tree of Life.

Now I have found manifest in my years working with nations and corporations all over the globe, that man possesses a serious dearth in ability to distinguish good from evil, nor even cozen a coherent definition of each thereof. What man understands is ‘proper’ and ‘improper’. These are simply popular constructs relating to socialized rationality. Hence the persistence of malicious religions, governments and corporations – entities which thrive on ‘rationality’ but do not serve its goals necessarily; rather ultimately their own. Were we to recognize them in the context of true good and evil, possibly we could work to mitigate their deleterious effects. But we cannot even recognize such effects, even if we did possess a knowledge of good and evil at the outset. No, we are their prey – seriously falling under the contention that we must have eaten from the Tree of Lack of Knowledge of Good and Evil, were there such a mythical flora indeed. The bottom line is that the Bible is wrong, we do not know what good and evil is. We know harm, proper and improper. That is all. Perhaps our fall after all, simply resides in our presuming of skill at good and evil discernment in the first place.

Just think to yourself, what if your family dog one day licked an electrical socket and suddenly obtained the mental clarity to ascertain your true nature and celestial position as a human being? What if in a bought of tragic rift, your beloved pet, the furry creature who used to greet you at the door with such abandon, excitement and love each day after work, became knowledgeable about just who and what you were? What if he understood that you did not really kill and prepare the food you so faithfully gave him? What if he understood that you routinely lie to your parents in order to placate them? What if he understood that you had to betray a friend and take full credit for a paper that was partly her idea, in order to make the next step in your career? What if he understood that you destroyed a friend and former lover, in order to chance a relationship with someone more attractive – and it all collapsed in a heap of angst and broken hearts? What if he knew that you habitually tolerated or promulgated lies between 10-200 times every single day – along with the rest of humanity?¹ And even lived in a state of denial of even doing so, lying even to yourself? But never mind this, what if your faithful dog – suddenly possessed even the slightest understanding of who and what you are? He would hold then the wisdom of the Knowledge of God and Not-God. He might even bite you and leave.

He would be wise to you, and no longer serve in the faithful role in which you both previously existed. Bad dog…

Everyone lies. Even so, it is the legitimate role of the New Mind to not simply detect lies, but moreover to dethrone those entities which pretend to the role of God. The Ethical Skeptic does not know what a god even is; nor does he possess all knowledge and wisdom. However, he can easily spot a monkey with a gas can. Even and especially if that gas can serves to intimidate via means of institution, socialized rationality or specious claims to science, evidence or truth. Inside this awareness, several telltale character traits, life signatures differentiate the poser from someone who can be trusted. This is his threshing floor.

The ethical skeptic knows that it is often those who adhere to the most strict appearances of honesty – who can produce the most corrupt manifestations of ignorance and suffering. They can be known by hints derived from their motivations.

Standing Up to The Monkey with the Gas Can

Ethics are therefore disruptive by this very principle alone; and in an evolutionary context actually, eruptive. And in as much as this comforting metaphor of the family dog can serve to exhibit the crucial relationship between knowledge and control, even so we as thinking and discriminating beings can fortunately now examine the playing field inside which we reside. Our task is to become more than simply the smart but formerly obedient dog.  In so far as Pamela Meyer has outlined in her work “Liespotting,” the ability to spot lies in other people;1 even moreso, the task at hand for us the ethical skeptics, is understanding the conditions when someone is pretending to the role of God in our lives. And trust me, it is not just mainstream religion which is pretending to this role. Primates seek power, pleasure and entitlement by any means they can – and uber-correctness, fake humility and social rationality can serve as great cover for such foibles.

First however, let’s examine the transitional role which primates have played in the evolution of consciousness and conscience. The stacked hierarchy of tactic and strategy inside the reality of the need to survive or thrive within this physical realm in which we find ourselves. A New Mind may perceive itself as an unwilling participant inside the grand play in which it holds a role. And whether self-deception, illusion or none of the above, it is of no matter. The reality is that we survey this landscape nonetheless.

Perhaps two examples from the natural world, the first from the Jane Goodall Institute and the second from the work of animal psychologist Penny Patterson of The Gorilla Foundation, can suffice to elicit this graphic below. (As a note, I would ignore the abysmally incompetent, paltry and biased writeups in Wikipedia on both these matters as the authors of those entries were merely doing amateurish hackjobs, and not true research expose on each topic – so the entries are useless as information other than nominal facts and fake skeptic viewpoints on the matter):

[One Chimpanzee named Mike (1938 to 1975) began a strategy of dominance through employment of a gas can.] One day as Mike was batting a gasoline can around, the loud thuds and irritating banging noises it produced resulted in a few of his fellow chimpanzees running quickly away from the strange object and the noise it produced. Mike understood this to mean that he had found a means to intimidate his fellow chimpanzees. Mike began to practice his new brand of display with two cans bouncing off trees and earth as he went running madly down the path with hair standing erect, shoulders pushed back, and face molded into a fiercely determined look. Chimpanzees cringed in fear as they heard his noisy approach and saw him running at them. They scattered off the path and out of his way.

Large high-ranking males fled up the tree trunks when Mike began his descent down the forest path slapping, kicking, and smacking three cans in front of him! The other chimpanzees had never seen or heard anything like it. It was as if the worst thunderstorm had erupted and Mike was directing it toward them. They shrieked and tried desperately to get away from him and the terrible rattling and banging noise the cans made as they flew down the hill in their direction. Not wanting to fight with the unknown, the males of Mike’s community acquiesced. Mike became the first alpha male ever to employ his brain rather than his brawn to govern his community. One year after Mike began his unusual display, he attained the position of alpha male.2

~ ChimpaZoo; The Goodall Institute, Chapter 21: “Mike the Alpha Male”

Successively then, let us regard a tale of Koko the western lowland gorilla, the primate who has single-pawed overturned our understanding of the primate mind.

Like most people, Koko has good behaviors and bad behaviors. Like most people, she takes credit for the good behaviors and blames the bad ones on someone else. The cat [All Ball] came in handy on one particularly destructive day. When no one was around, Koko managed to rip a sink out of the wall in her habitat. When the humans returned, they asked Koko who ripped out the sink.

Koko signed, “The cat did it.”3

~ A Conversation with Koko”; Nature (1999) The Gorilla Institute

What this indicates is then, the death of the idea of glorified but fallen-sinful humanity, and the introduction of the idea that our vulnerabilities, our proclivities for both illicit and legitimate gain – are simply expressions of natural strategies to survive and thrive. They are natural, albeit higher DNA based manifestations of expression. We were simply blinded to this by entities pretending to the role of God in our past. Bluffing into a form of control, or what might reside inside the blue levels of the primate pyramid below. Below, I have constructed a graphic depicting the less-than-dramatic schism between humanity and the natural realm, along with the challenge resident in the mind of the ethical skeptic as to how we progress from this problem of philosophy (Social Skepticism), and onto the next step. What I call, The New Mind.

Traits of the New Mind

sci literacy

The decision as to whether control, coaching and conscience are sufficient to the task of fostering The New Mind, or whether or not to apply the draconian measures of culling and conversion, wholly resides inside another camp altogether. So for purposes of this blog, let’s assume that coaching and conscience are the tactics which provide for success in crafting of The New Mind. In that context, for the ethical skeptic, the matter is not simply one of determining liars and lies. Everyone lies. This is the reality of the natural realm inside which we reside. Pretending to be able to counter all the proclivities of the natural realm is a matter of magic, self aggrandizement and boast. Our task is NOT to detect every single lie which is uttered, and swell our egos in a virtual cocoon of correctness. Such a state stands itself, manifest as a sort of lie of its own crafting.  The key for the ethical skeptic is to detect when lies become institutionalized, when they begin to manifest suffering on a small or even grander scale.

The question on the mind of the ethical skeptic is “How do we get to the New Mind?” And more importantly, how do I take control of my intent and begin to serve a New Mind in myself? This is the essence of becoming an ethical skeptic. To become a skeptic of one’s self, and others – in so far as spotting the character traits of one who is – or is not – residing inside this New Mind:

Be tenacious, not stubborn
Leave griefers in the wake of your silence
Be kind, rather than nice
Be firm, but not cruel
Be genuine, rather than frank
Be ethical, rather than virtuous or moral
Tender epoché, rather than doubt
Examine self, before others
Discern, rather than judge
Be a learner, rather than a professional test taker
Be curious, rather than incredulous
Be level-minded, rather than humble
Be transparent, but not full disclosure
Recognize and eschew ‘playing God’
Nurture, but do not molly-coddle
Possess integrity, rather than compliance
Be merciful, rather than charitable
Teach, but do not handhold
Learn how to learn when there is no lesson plan
Dream, rather than fantasize
Stand up for those who cannot
Resist the unaccountable Narrative
Lead, rather than draw attention
Focus on others, not obsess over them
Observe, rather than assume
Risk, rather than suffer ‘what could have been’
Communicate, rather than speak or be silent
Run, rather than race
Laugh, rather than mock
Joy, whether comfort/love is near or absent
Serve, before being asked
Leave a legacy, without trying

humble costume

### Molecular data, as found in the file
/*
(1)
Formula: CHN4S
Source: the OMol25 dataset
Level of theory: ωB97M-V/def2-TZVPD

Output
* multiplicity: 1
* Kohn-Sham gap: 7.45 eV
* lowest unoccupied orbital energy: 4.23 eV
* net charge: -1
* molar mass: 101.114 u
* SMILES string: [S-]n1ncnn1

Geometry (Å):
C 0.385 0.199 0.061
N 0.946 1.374 0.021
N 1.563 -0.868 -0.041
N 2.207 1.256 -0.039
N 2.550 -0.032 -0.066
S 4.188 -0.254 0.038
H -0.585 -0.168 0.197



(2)
Formula: C6H12O
Source: the OMol25 dataset
Level of theory: ωB97M-V/def2-TZVPD

Output
* multiplicity: 1
* Kohn-Sham gap: 10.73 eV
* lowest unoccupied orbital energy: 1.01 eV
* molar mass: 100.161 u
* SMILES string: CC(C)CCC=O

Geometry (Å):
O -2.404 2.643 -0.053
C -2.633 1.463 -0.096
C -1.641 0.332 -0.375
C -0.272 0.604 0.153
C 0.682 -0.703 0.307
C 1.930 -0.122 1.004
C 1.109 -1.380 -1.043
H -3.605 1.088 0.312
H -1.549 0.048 -1.447
H -2.187 -0.593 0.142
H 0.134 1.433 -0.465
H -0.132 1.126 1.153
H 0.008 -1.365 0.871
H 1.808 0.831 1.679
H 2.759 -0.005 0.320
H 2.271 -0.762 1.814
H 2.023 -1.952 -1.044
H 0.320 -2.113 -1.401
H 1.380 -0.572 -1.829



(3)
Formula: C3H7N3O2
Source: the OMol25 dataset
Level of theory: ωB97M-V/def2-TZVPD

Output
* multiplicity: 1
* Kohn-Sham gap: 9.66 eV
* lowest unoccupied orbital energy: 0.68 eV
* molar mass: 117.108 u
* SMILES string: [H]/N=C(\N)O/C=N/OC

Geometry (Å):
C -3.016 0.783 0.183
C -0.280 -1.165 -0.033
C 1.851 0.078 -0.081
H -3.068 1.141 1.272
H -2.855 1.575 -0.626
H -4.030 0.428 0.077
H -0.773 -2.164 -0.292
H 1.723 2.174 0.012
H 0.319 1.051 -1.012
H 3.280 1.021 1.024
N -0.961 -0.076 0.047
N 1.368 1.259 -0.587
N 2.885 0.131 0.658
O -2.296 -0.416 0.075
O 1.174 -1.159 -0.286



(4)
Formula: C5H8N
Source: the OMol25 dataset
Level of theory: ωB97M-V/def2-TZVPD

Output
* multiplicity: 1
* Kohn-Sham gap: 9.18 eV
* lowest unoccupied orbital energy: -5.05 eV
* net charge: +1
* molar mass: 82.126 u
* SMILES string: C=C1C(C)=[N+]1C

Geometry (Å):
C -0.829 -0.776 0.090
C -1.721 -1.721 -0.006
C -0.459 0.494 -0.040
C -0.548 1.920 -0.102
C 1.806 -0.974 -0.100
N 0.524 -0.365 -0.090
H -1.431 -2.735 -0.076
H -2.855 -1.531 0.058
H 0.444 2.452 0.228
H -1.370 2.213 0.569
H -0.655 2.231 -1.048
H 1.862 -1.884 -0.887
H 1.832 -1.558 0.914
H 2.768 -0.437 -0.256



(5)
Formula: C45H58AgN2O9PSeSi
Source: the OMol25 dataset
Level of theory: ωB97M-V/def2-TZVPD

Output
* multiplicity: 1
* Kohn-Sham gap: 5.51 eV
* lowest unoccupied orbital energy: 3.80 eV
* net charge: -2
* molar mass: 1016.852 u

Geometry (Å):
Ag 0.714 -0.177 0.787
C 3.952 0.213 -1.414
C 4.101 0.289 0.064
N 3.109 0.356 0.909
C 3.665 0.413 2.167
C 5.039 0.406 2.066
N 5.286 0.325 0.725
C 6.210 0.490 3.008
O 5.934 0.596 4.236
O 7.328 0.481 2.474
C 2.764 0.447 3.353
O 3.319 0.577 4.534
O 1.555 0.367 3.217
H 2.893 0.107 -1.636
H 4.481 -0.652 -1.820
H 4.330 1.117 -1.898
H 6.228 0.275 0.367
H 4.358 0.604 4.481
C -8.411 0.941 0.217
C -6.917 0.963 0.410
C -6.251 2.116 0.806
C -4.871 2.150 0.991
C -4.241 3.432 1.460
C -4.093 0.992 0.765
Se -2.196 1.082 0.999
*/

These are the hallmarks of the person who can be trusted, and not whether they have ever made a mistake – nor pondered ‘pseudoscience’. A person who has overcome themselves, and further then realizes that the goal of life is not simply to be happy, judgemental or controlling – and especially to not pull off primate tricks in order to amass such pleasure. Rather, possesses the quiet focus to be steadfast, faithful, compassionate, hungry and firm in the face of elite thirst for power. In a world of primate tricks, corruption, collusion and control – such traits are innately disruptive.

The Ethical Skeptic, “Nurturing the New Mind: The Disruptive Nature of Ethics”; The Ethical Skeptic, WordPress, 31 Aug 2016; Web,